Listing.
[1]
Here is an isolated molecule of C6H8FNS at a distorted geometry from OMol25. Energies are from ωB97M-V/def2-TZVPD.

The geometry in ORCA input format:
```
! wB97M-V def2-TZVPD RIJCOSX def2/J DEFGRID3
* xyz 0 1
C 0.55570 -0.06544 1.34155
C 1.08486 -0.83948 0.39235
C -0.00163 1.13819 0.87080
C 0.07867 1.40939 -0.43736
C -0.97703 1.84187 1.72070
C -0.16969 -1.93645 -2.09781
N 1.45070 -0.39872 -0.81140
F 0.03488 2.59515 -1.00039
S 1.42477 -1.22631 -2.20121
H 0.50973 -0.47875 2.32137
H 1.42251 -1.82920 0.69860
H -0.87456 1.48869 2.65950
H -0.87737 2.89859 1.63780
H -1.96287 1.72834 1.30221
H -0.86290 -1.13906 -2.57437
H -0.47437 -2.24165 -1.12770
H -0.36139 -2.94514 -2.69465
*
```

Output
Gap between HOMO and LUMO, hartree: 0.286
HOMO level, eV: -8.0
Energy above the lowest of the compared OMol25 structures with the same formula, charge and spin, kcal per mole: 0.0

Atom charges from the Mulliken analysis, given in e for atoms 1 to 2: number 1, C, carries -0.808; number 2, C, carries -0.140



[2]
Here is a structure of composition C20H25IMgN4O3 at a distorted geometry from OMol25. Energies are from ωB97M-V/def2-TZVPD.

The geometry in ORCA input format:
```
! wB97M-V def2-TZVPD RIJCOSX def2/J DEFGRID3
* xyz 0 1
C 2.10675 -0.05929 -2.66974
C -1.95827 0.34882 -2.93321
H 2.93672 0.61742 -2.46353
H 2.09137 -0.16562 -3.77956
H 2.36046 -1.04886 -2.28205
H -2.40935 1.34585 -2.92947
H -1.75753 0.12692 -4.00000
H -2.64191 -0.41361 -2.55010
C 1.90216 2.60163 -0.85285
C 2.35325 3.78257 -0.24844
C 1.40279 4.67363 0.24472
C 0.06212 4.31331 0.15875
H 2.62209 1.81989 -1.09207
H 3.42397 3.94955 -0.18346
H 1.68905 5.60883 0.72260
H -0.72322 4.90910 0.61254
N 0.62048 2.35490 -1.11618
C -0.30068 3.10354 -0.46735
C -1.65005 2.53263 -0.26630
N -1.82043 1.24588 -0.57514
C -2.96108 0.62295 -0.31805
C -3.93002 2.62859 0.56410
C -4.06235 1.27734 0.24298
H -3.04685 -0.41669 -0.63802
H -4.98039 0.71040 0.38512
C -2.71248 3.26305 0.31991
H -2.53759 4.30389 0.57046
H -4.75672 3.18363 1.00399
Mg 0.03544 0.19568 -2.29203
I 4.74565 -0.45168 -1.02624
C 2.77034 -2.06601 1.80351
C 1.76326 -3.02135 1.20547
C 0.30952 -2.50348 1.11753
C -0.62838 -3.67673 0.76919
C -0.23443 -4.49946 -0.43300
C -0.13617 -1.99521 2.50604
O -0.45252 -2.72187 3.44344
N -0.13593 -0.62939 2.66996
C 0.13364 0.37084 1.71679
O 0.16414 1.53183 2.10556
N 0.30441 -0.06543 0.43645
C 0.19110 -1.32549 0.08393
O 0.00381 -1.57750 -1.16558
H 3.14285 -1.35604 1.04793
H 3.63732 -2.64050 2.14922
H 2.34844 -1.52320 2.65533
H 2.07346 -3.32684 0.19968
H 1.72009 -3.93632 1.81494
H -0.64652 -4.33053 1.65385
H -1.64547 -3.27607 0.65582
H 0.63929 -5.11680 -0.20574
H -1.06509 -5.16233 -0.68393
H -0.01881 -3.84817 -1.28277
H -0.34175 -0.26821 3.59500
*
```

Output
Gap between HOMO and LUMO (alpha / beta), hartree: 0.185 / 0.226
HOMO level (alpha / beta), eV: -8.2 / -8.5

Atom charges from the Mulliken analysis, given in e for atoms 1 to 2: number 1, C, carries -1.546; number 2, C, carries -1.139



[3]
Here is an isolated molecule of C19H28N4O3S2 from OMol25. Energies are from ωB97M-V/def2-TZVPD.

The geometry in ORCA input format:
```
! wB97M-V def2-TZVPD RIJCOSX def2/J DEFGRID3
* xyz 0 1
C -5.74489 -0.99039 0.84329
C -5.05847 0.36589 0.95009
C -4.82613 1.02794 -0.40839
C -3.73731 0.34558 -1.24283
N -2.44260 0.45980 -0.62872
C -1.76028 -0.51078 0.04438
S -2.31823 -2.14566 0.17831
C -0.69158 -2.87617 0.52984
C 0.25560 -2.39320 -0.56947
O -0.14397 -2.36675 -1.72039
N 1.50200 -2.01984 -0.23184
C 2.09052 -1.95942 1.08573
C 3.47604 -2.60915 1.07737
C 4.38903 -1.94526 0.04711
C 5.76192 -2.60873 0.01748
C 3.70280 -2.02184 -1.31612
C 2.32228 -1.37992 -1.24655
N -0.60835 -0.11995 0.52379
C -0.48536 1.18501 0.13896
C 0.55174 2.08650 0.33599
C 0.39252 3.33985 -0.20784
S 1.69366 4.52315 0.03523
N 1.18761 5.27176 1.46312
O 1.66374 5.51193 -1.00353
O 2.92338 3.83643 0.31381
C -0.73461 3.72870 -0.92122
C -1.77839 2.84584 -1.12434
C -1.64181 1.57340 -0.58961
H -5.11173 -1.71198 0.33419
H -6.68251 -0.90028 0.29908
Wanted.
Work out how many lines earlier on have the word "geometry" in them; a number is enough.
Completed.
5